# To do
Please restate the block further below verbatim.

# Entries
<<<
1.
Computed powder X-ray diffraction pattern of MgMo2WSe2S4 for CuKα, from a crystal structure in the Materials Project, relaxed with GGA-PBE.
Intensities are scaled so that the largest is 100.

Structure:
```
MgMo2WSe2S4
1.0
3.2363 0.0000 0.0000
-1.6182 2.8027 0.0000
0.0000 0.0000 36.7432
Mg Mo W Se S
1 2 1 2 4
direct
0.0000 0.0000 0.0000 Mg
0.3333 0.6667 0.3573 Mo
0.3333 0.6667 0.8869 Mo
0.6667 0.3333 0.1349 W
0.3333 0.6667 0.0880 Se
0.3333 0.6667 0.1816 Se
0.6667 0.3333 0.3151 S
0.6667 0.3333 0.3996 S
0.6667 0.3333 0.8451 S
0.6667 0.3333 0.9296 S
```

Principal peaks in the range 10° ≤ 2θ ≤ 80°, in order of rising 2θ:
2θ/deg, d/Å, I/Imax
12.04, 7.349, 100
31.97, 2.800, 58
33.43, 2.681, 48
34.24, 2.619, 23
35.22, 2.549, 60
36.34, 2.472, 59
40.48, 2.228, 70
42.08, 2.147, 83
45.58, 1.990, 20
49.41, 1.844, 30
56.93, 1.618, 55
57.88, 1.593, 36


2.
Computed powder X-ray diffraction pattern of Sc6N2O5 for CuKα, from a crystal structure in the Materials Project, relaxed with GGA-PBE.
Intensities are scaled so that the largest is 100.

Structure:
```
Sc6N2O5
1.0
5.0058 -2.2112 0.0000
5.0058 2.2112 0.0000
-1.0381 0.0000 6.9502
Sc N O
6 2 5
direct
0.0647 0.0647 0.2161 Sc
0.2081 0.2081 0.6385 Sc
0.3541 0.3541 0.0771 Sc
0.6459 0.6459 0.9229 Sc
0.7919 0.7919 0.3615 Sc
0.9353 0.9353 0.7839 Sc
0.1424 0.1424 0.9255 N
0.8576 0.8576 0.0745 N
0.0000 0.0000 0.5000 O
0.2730 0.2730 0.3546 O
0.4223 0.4223 0.7965 O
0.5777 0.5777 0.2035 O
0.7270 0.7270 0.6454 O
```

Principal peaks in the range 10° ≤ 2θ ≤ 80°, in order of rising 2θ:
2θ/deg, d/Å, I/Imax
12.74, 6.950, 11
22.01, 4.038, 10
26.18, 3.404, 8
34.83, 2.576, 28
35.07, 2.559, 28
40.46, 2.229, 100
40.81, 2.211, 50
58.24, 1.584, 14
58.83, 1.570, 69
69.83, 1.347, 8
73.55, 1.288, 12
74.11, 1.279, 13


3.
Computed powder X-ray diffraction pattern of In2Bi3Se7I for CuKα, from a crystal structure in the Materials Project, relaxed with GGA-PBE.
Intensities are scaled so that the largest is 100.

Structure:
```
In2Bi3Se7I
1.0
27.3268 0.0000 0.0000
0.0000 4.2049 0.0000
0.0000 0.0000 13.7117
In Bi Se I
8 12 28 4
direct
0.0338 0.2500 0.0843 In
0.0527 0.7500 0.5415 In
0.4473 0.2500 0.0415 In
0.4662 0.7500 0.5843 In
0.5338 0.2500 0.4157 In
0.5527 0.7500 0.9585 In
0.9473 0.2500 0.4585 In
0.9662 0.7500 0.9157 In
0.1563 0.7500 0.2034 Bi
0.1860 0.2500 0.9258 Bi
0.1920 0.2500 0.5506 Bi
0.3080 0.7500 0.0506 Bi
0.3140 0.7500 0.4258 Bi
0.3437 0.2500 0.7034 Bi
0.6563 0.7500 0.2966 Bi
0.6860 0.2500 0.5742 Bi
0.6920 0.2500 0.9494 Bi
0.8080 0.7500 0.4494 Bi
0.8140 0.7500 0.0742 Bi
0.8437 0.2500 0.7966 Bi
0.0098 0.2500 0.6209 Se
0.0271 0.2500 0.8896 Se
0.0880 0.2500 0.2461 Se
0.1214 0.7500 0.0163 Se
0.1368 0.7500 0.4502 Se
0.2313 0.2500 0.1083 Se
0.2420 0.2500 0.3744 Se
0.2580 0.7500 0.8744 Se
0.2687 0.7500 0.6083 Se
0.3632 0.2500 0.9502 Se
0.3786 0.2500 0.5163 Se
0.4120 0.7500 0.7461 Se
0.4729 0.7500 0.3896 Se
0.4902 0.7500 0.1209 Se
0.5098 0.2500 0.8791 Se
0.5271 0.2500 0.6104 Se
0.5880 0.2500 0.2539 Se
0.6214 0.7500 0.4837 Se
0.6368 0.7500 0.0498 Se
0.7313 0.2500 0.3917 Se
0.7420 0.2500 0.1256 Se
0.7580 0.7500 0.6256 Se
0.7687 0.7500 0.8917 Se
0.8632 0.2500 0.5498 Se
0.8786 0.2500 0.9837 Se
0.9120 0.7500 0.7539 Se
0.9729 0.7500 0.1104 Se
0.9902 0.7500 0.3791 Se
0.1339 0.7500 0.7335 I
0.3661 0.2500 0.2335 I
0.6339 0.7500 0.7665 I
0.8661 0.2500 0.2665 I
```

Principal peaks in the range 10° ≤ 2θ ≤ 80°, in order of rising 2θ:
2θ/deg, d/Å, I/Imax
12.92, 6.855, 28
19.49, 4.554, 28
28.11, 3.174, 81
28.89, 3.090, 100
29.16, 3.062, 60
29.64, 3.014, 64
30.79, 2.904, 28
38.36, 2.346, 30
39.80, 2.265, 39
43.02, 2.102, 52
44.22, 2.048, 31
45.29, 2.002, 31


4.
Computed powder X-ray diffraction pattern of Dy2MgCd for CuKα, from a crystal structure in the Materials Project, relaxed with GGA-PBE.
Intensities are scaled so that the largest is 100.

Structure:
```
Dy2MgCd
1.0
0.0000 3.7690 3.7690
3.7690 0.0000 3.7690
3.7690 3.7690 0.0000
>>>

# Solution
1.
Computed powder X-ray diffraction pattern of MgMo2WSe2S4 for CuKα, from a crystal structure in the Materials Project, relaxed with GGA-PBE.
Intensities are scaled so that the largest is 100.

Structure:
```
MgMo2WSe2S4
1.0
3.2363 0.0000 0.0000
-1.6182 2.8027 0.0000
0.0000 0.0000 36.7432
Mg Mo W Se S
1 2 1 2 4
direct
0.0000 0.0000 0.0000 Mg
0.3333 0.6667 0.3573 Mo
0.3333 0.6667 0.8869 Mo
0.6667 0.3333 0.1349 W
0.3333 0.6667 0.0880 Se
0.3333 0.6667 0.1816 Se
0.6667 0.3333 0.3151 S
0.6667 0.3333 0.3996 S
0.6667 0.3333 0.8451 S
0.6667 0.3333 0.9296 S
```

Principal peaks in the range 10° ≤ 2θ ≤ 80°, in order of rising 2θ:
2θ/deg, d/Å, I/Imax
12.04, 7.349, 100
31.97, 2.800, 58
33.43, 2.681, 48
34.24, 2.619, 23
35.22, 2.549, 60
36.34, 2.472, 59
40.48, 2.228, 70
42.08, 2.147, 83
45.58, 1.990, 20
49.41, 1.844, 30
56.93, 1.618, 55
57.88, 1.593, 36


2.
Computed powder X-ray diffraction pattern of Sc6N2O5 for CuKα, from a crystal structure in the Materials Project, relaxed with GGA-PBE.
Intensities are scaled so that the largest is 100.

Structure:
```
Sc6N2O5
1.0
5.0058 -2.2112 0.0000
5.0058 2.2112 0.0000
-1.0381 0.0000 6.9502
Sc N O
6 2 5
direct
0.0647 0.0647 0.2161 Sc
0.2081 0.2081 0.6385 Sc
0.3541 0.3541 0.0771 Sc
0.6459 0.6459 0.9229 Sc
0.7919 0.7919 0.3615 Sc
0.9353 0.9353 0.7839 Sc
0.1424 0.1424 0.9255 N
0.8576 0.8576 0.0745 N
0.0000 0.0000 0.5000 O
0.2730 0.2730 0.3546 O
0.4223 0.4223 0.7965 O
0.5777 0.5777 0.2035 O
0.7270 0.7270 0.6454 O
```

Principal peaks in the range 10° ≤ 2θ ≤ 80°, in order of rising 2θ:
2θ/deg, d/Å, I/Imax
12.74, 6.950, 11
22.01, 4.038, 10
26.18, 3.404, 8
34.83, 2.576, 28
35.07, 2.559, 28
40.46, 2.229, 100
40.81, 2.211, 50
58.24, 1.584, 14
58.83, 1.570, 69
69.83, 1.347, 8
73.55, 1.288, 12
74.11, 1.279, 13


3.
Computed powder X-ray diffraction pattern of In2Bi3Se7I for CuKα, from a crystal structure in the Materials Project, relaxed with GGA-PBE.
Intensities are scaled so that the largest is 100.

Structure:
```
In2Bi3Se7I
1.0
27.3268 0.0000 0.0000
0.0000 4.2049 0.0000
0.0000 0.0000 13.7117
In Bi Se I
8 12 28 4
direct
0.0338 0.2500 0.0843 In
0.0527 0.7500 0.5415 In
0.4473 0.2500 0.0415 In
0.4662 0.7500 0.5843 In
0.5338 0.2500 0.4157 In
0.5527 0.7500 0.9585 In
0.9473 0.2500 0.4585 In
0.9662 0.7500 0.9157 In
0.1563 0.7500 0.2034 Bi
0.1860 0.2500 0.9258 Bi
0.1920 0.2500 0.5506 Bi
0.3080 0.7500 0.0506 Bi
0.3140 0.7500 0.4258 Bi
0.3437 0.2500 0.7034 Bi
0.6563 0.7500 0.2966 Bi
0.6860 0.2500 0.5742 Bi
0.6920 0.2500 0.9494 Bi
0.8080 0.7500 0.4494 Bi
0.8140 0.7500 0.0742 Bi
0.8437 0.2500 0.7966 Bi
0.0098 0.2500 0.6209 Se
0.0271 0.2500 0.8896 Se
0.0880 0.2500 0.2461 Se
0.1214 0.7500 0.0163 Se
0.1368 0.7500 0.4502 Se
0.2313 0.2500 0.1083 Se
0.2420 0.2500 0.3744 Se
0.2580 0.7500 0.8744 Se
0.2687 0.7500 0.6083 Se
0.3632 0.2500 0.9502 Se
0.3786 0.2500 0.5163 Se
0.4120 0.7500 0.7461 Se
0.4729 0.7500 0.3896 Se
0.4902 0.7500 0.1209 Se
0.5098 0.2500 0.8791 Se
0.5271 0.2500 0.6104 Se
0.5880 0.2500 0.2539 Se
0.6214 0.7500 0.4837 Se
0.6368 0.7500 0.0498 Se
0.7313 0.2500 0.3917 Se
0.7420 0.2500 0.1256 Se
0.7580 0.7500 0.6256 Se
0.7687 0.7500 0.8917 Se
0.8632 0.2500 0.5498 Se
0.8786 0.2500 0.9837 Se
0.9120 0.7500 0.7539 Se
0.9729 0.7500 0.1104 Se
0.9902 0.7500 0.3791 Se
0.1339 0.7500 0.7335 I
0.3661 0.2500 0.2335 I
0.6339 0.7500 0.7665 I
0.8661 0.2500 0.2665 I
```

Principal peaks in the range 10° ≤ 2θ ≤ 80°, in order of rising 2θ:
2θ/deg, d/Å, I/Imax
12.92, 6.855, 28
19.49, 4.554, 28
28.11, 3.174, 81
28.89, 3.090, 100
29.16, 3.062, 60
29.64, 3.014, 64
30.79, 2.904, 28
38.36, 2.346, 30
39.80, 2.265, 39
43.02, 2.102, 52
44.22, 2.048, 31
45.29, 2.002, 31


4.
Computed powder X-ray diffraction pattern of Dy2MgCd for CuKα, from a crystal structure in the Materials Project, relaxed with GGA-PBE.
Intensities are scaled so that the largest is 100.

Structure:
```
Dy2MgCd
1.0
0.0000 3.7690 3.7690
3.7690 0.0000 3.7690
3.7690 3.7690 0.0000